Material:
(1)
A geometry-optimized LiFeP2HO7 structure, computed with PBE+U.

## Properties
MP2020-corrected energy = -7.301 eV/atom
V = 527 Å³ per cell
ΔE_f = -228 kJ/mol of atoms
Relative energy among the computed polymorphs = 0.00 eV per formula unit

Cell: 6.6085 10.7424 7.5077 Å, 87.94 84.15 95.21°
Element x y z (fractional)
Li 0.1163 0.5372 0.3161
Li 0.1164 0.0373 0.8162
Li 0.8836 0.4628 0.6839
Li 0.8836 0.9627 0.1839
Fe 0.3515 0.6922 0.5891
Fe 0.6486 0.3080 0.4107
Fe 0.3515 0.1918 0.0895
Fe 0.6484 0.8078 0.9107
P 0.1591 0.7738 0.9940
P 0.1591 0.2738 0.4940
P 0.8409 0.2263 0.0060
P 0.8409 0.7262 0.5060
P 0.3895 0.4102 0.7665
P 0.3896 0.9102 0.2665
P 0.6104 0.5898 0.2335
P 0.6104 0.0898 0.7336
H 0.1644 0.5795 0.9259
H 0.1645 0.0795 0.4259
H 0.8355 0.4205 0.0741
H 0.8355 0.9205 0.5741
O 0.0869 0.6288 0.0230
O 0.0870 0.1288 0.5230
O 0.9130 0.3712 0.9770
O 0.9130 0.8712 0.4770
O 0.0163 0.1455 0.0287
O 0.0162 0.6455 0.5286
O 0.9838 0.8545 0.9714
O 0.9838 0.3545 0.4714
O 0.2383 0.8019 0.1828
O 0.2382 0.3018 0.6828
O 0.7618 0.1981 0.8172
O 0.7617 0.6982 0.3172
O 0.2764 0.5295 0.7553
O 0.2765 0.0296 0.2554
O 0.7236 0.4705 0.2446
O 0.7235 0.9704 0.7447
O 0.3315 0.7935 0.8425
O 0.3316 0.2935 0.3425
O 0.6685 0.2066 0.1575
O 0.6685 0.7065 0.6575
O 0.3937 0.3615 0.9573
O 0.3937 0.8615 0.4572
O 0.6063 0.6385 0.0427
O 0.6063 0.1385 0.5428
O 0.4071 0.5811 0.3521
O 0.4071 0.0811 0.8522
O 0.5929 0.4189 0.6479
O 0.5929 0.9189 0.1478

---

(2)
A geometry-optimized CeSbMo2O9 structure, computed with PBE+U.

## Properties
MP2020-corrected energy = -8.222 eV/atom
Symmetry = No. 15
V = 901 Å³ per cell
ΔE_f = -227 kJ/mol of atoms

Cell: 9.9014 9.9014 11.0696 Å, 111.68 111.68 95.85°
Element x y z (fractional)
Ce 0.1235 0.8765 0.7500
Ce 0.3243 0.6757 0.2500
Ce 0.6757 0.3243 0.7500
Ce 0.8765 0.1235 0.2500
Sb 0.3527 0.3793 0.4627
Sb 0.3793 0.3527 0.9627
Sb 0.6207 0.6473 0.0373
Sb 0.6473 0.6207 0.5373
Mo 0.0487 0.2601 0.0278
Mo 0.0622 0.4349 0.6965
Mo 0.2601 0.0487 0.5278
Mo 0.4349 0.0622 0.1965
Mo 0.5651 0.9378 0.8035
Mo 0.7399 0.9513 0.4722
Mo 0.9378 0.5651 0.3035
Mo 0.9513 0.7399 0.9722
O 0.0141 0.6953 0.4894
O 0.0524 0.2283 0.1790
O 0.0617 0.0950 0.9011
O 0.0858 0.5584 0.2474
O 0.0950 0.0617 0.4011
O 0.1256 0.7025 0.0606
O 0.1414 0.6178 0.7222
O 0.2154 0.3744 0.8030
O 0.2187 0.4038 0.0755
O 0.2283 0.0524 0.6790
O 0.2975 0.8744 0.4394
O 0.3047 0.9859 0.0106
O 0.3744 0.2154 0.3030
O 0.3822 0.8586 0.7778
O 0.4038 0.2187 0.5755
O 0.4244 0.5401 0.4007
O 0.4416 0.9142 0.2526
O 0.4599 0.5756 0.0993
O 0.5401 0.4244 0.9007
O 0.5584 0.0858 0.7474
O 0.5756 0.4599 0.5993
O 0.5962 0.7813 0.4245
O 0.6178 0.1414 0.2222
O 0.6256 0.7846 0.6970
O 0.6953 0.0141 0.9894
O 0.7025 0.1256 0.5606
O 0.7717 0.9476 0.3210
O 0.7813 0.5962 0.9245
O 0.7846 0.6256 0.1970
O 0.8586 0.3822 0.2778
O 0.8744 0.2975 0.9394
O 0.9050 0.9383 0.5989
O 0.9142 0.4416 0.7526
O 0.9383 0.9050 0.0989
O 0.9476 0.7717 0.8210
O 0.9859 0.3047 0.5106

---

(3)
A geometry-optimized Li9Mn2Co5O16 structure, computed with PBE+U.

## Properties
MP2020-corrected energy = -6.510 eV/atom
Symmetry = No. 2
V = 287 Å³ per cell
ΔE_f = -175 kJ/mol of atoms
Relative energy among the computed polymorphs = 1.55 eV per formula unit

Cell: 5.0263 5.8631 9.8857 Å, 88.13 80.40 88.09°
Element x y z (fractional)
Li 0.0000 0.0000 0.0000
Li 0.2368 0.2470 0.7690
Li 0.2398 0.9941 0.2385
Li 0.2425 0.7577 0.7669
Li 0.2535 0.5011 0.2412
Li 0.7465 0.4989 0.7588
Li 0.7575 0.2423 0.2331
Li 0.7602 0.0059 0.7615
Li 0.7632 0.7530 0.2310
Mn 0.5000 0.0000 0.5000
Mn 0.5000 0.5000 0.5000
Co 0.9998 0.2518 0.5012
Co 0.0000 0.5000 0.0000
Co 0.0002 0.7482 0.4988
Co 0.4819 0.7597 0.0033
Co 0.5181 0.2403 0.9967
O 0.1218 0.9899 0.6061
O 0.1232 0.2756 0.1107
O 0.1329 0.4940 0.6045
O 0.1377 0.7457 0.1200
O 0.3546 0.7313 0.3878
O 0.3635 0.4975 0.8842
O 0.3705 0.2567 0.3954
O 0.3980 0.9915 0.8757
O 0.6020 0.0085 0.1243
O 0.6295 0.7433 0.6046
O 0.6365 0.5025 0.1158
O 0.6454 0.2687 0.6122
O 0.8623 0.2543 0.8800
O 0.8671 0.5060 0.3955
O 0.8768 0.7244 0.8893
What to do:
Could you reproduce every line further up that contains the word "LiFeP2HO7"?
Result:
A geometry-optimized LiFeP2HO7 structure, computed with PBE+U.